Source =
........
w.
Li4VF7 | GGA+U | optimized geometry

Results
Space group: No. 216

Lattice parameters (Å, degrees): 5.985 5.985 5.985 60.00 60.00 60.00
Positions (direct):
F  0.250  0.250  0.250
F  0.236  0.764  0.236
F  0.764  0.236  0.236
F  0.236  0.236  0.764
F  0.764  0.236  0.764
F  0.764  0.764  0.236
F  0.236  0.764  0.764
Li  0.374  0.374  0.374
Li  0.374  0.878  0.374
Li  0.374  0.374  0.878
Li  0.878  0.374  0.374
V  0.000  0.000  0.000

***

x.
Li4VF7 | GGA+U | optimized geometry

Results
Space group: No. 15

Lattice parameters (Å, degrees): 7.693 7.693 5.543 79.57 79.57 69.11
Positions (direct):
F  0.004  0.195  0.356
F  0.850  0.334  0.907
F  0.553  0.447  0.250
F  0.150  0.666  0.093
F  0.780  0.616  0.434
F  0.666  0.150  0.593
F  0.195  0.004  0.856
F  0.996  0.805  0.644
F  0.384  0.220  0.066
F  0.616  0.780  0.934
F  0.447  0.553  0.750
F  0.220  0.384  0.566
F  0.334  0.850  0.407
F  0.805  0.996  0.144
Li  0.426  0.306  0.736
Li  0.255  0.057  0.165
Li  0.057  0.255  0.665
Li  0.306  0.426  0.236
Li  0.694  0.574  0.764
Li  0.943  0.745  0.335
Li  0.745  0.943  0.835
Li  0.574  0.694  0.264
V  0.229  0.771  0.750
V  0.771  0.229  0.250

***

The structure with the most favorable energy is w; the runner-up is 0.062 eV/atom above it.

~~~~~

1.
Material: Cs3Mo5P7O24
Method: DFT, GGA+U
State: relaxed

POSCAR file:
```
Cs3Mo5P7O24
1.0
6.2703 -10.8605 0.0000
6.2703 10.8605 0.0000
0.0000 0.0000 9.6015
Cs Mo P O
6 10 14 48
Direct
0.6059 0.6873 0.5259
0.3127 0.9185 0.5259
0.3941 0.0815 0.0259
0.6873 0.6059 0.0259
0.9185 0.3127 0.0259
0.0815 0.3941 0.5259
0.1938 0.6776 0.1214
0.6776 0.1938 0.6214
0.0000 0.0000 0.9733
0.5163 0.3224 0.6214
0.0000 0.0000 0.4733
0.4837 0.8062 0.1214
0.6667 0.3333 0.3491
0.8062 0.4837 0.6214
0.3333 0.6667 0.8491
0.3224 0.5163 0.1214
0.1491 0.2306 0.2270
0.6528 0.0683 0.2964
0.4155 0.3472 0.2964
0.5845 0.9317 0.7964
0.3333 0.6667 0.2996
0.6667 0.3333 0.7996
0.3472 0.4155 0.7964
0.7694 0.9185 0.2270
0.9317 0.5845 0.2964
0.2306 0.1491 0.7270
0.8509 0.0815 0.7270
0.9185 0.7694 0.7270
0.0815 0.8509 0.2270
0.0683 0.6528 0.7964
0.3427 0.4080 0.9560
0.0445 0.7603 0.7363
0.5278 0.9663 0.2386
0.0736 0.9090 0.0927
0.1902 0.8257 0.2226
0.8355 0.9264 0.0927
0.0910 0.1645 0.0927
0.4908 0.8067 0.7339
0.8257 0.1902 0.7226
0.4587 0.6649 0.0005
0.5615 0.0337 0.7386
0.1645 0.0910 0.5927
0.1743 0.3645 0.2226
0.1933 0.6841 0.7339
0.4385 0.4722 0.2386
0.8067 0.4908 0.2339
0.7938 0.3351 0.5005
0.5092 0.3159 0.2339
0.1692 0.0760 0.8578
0.9090 0.0736 0.5927
0.6841 0.1933 0.2339
0.5920 0.9346 0.9560
0.3645 0.1743 0.7226
0.9555 0.7157 0.2363
0.9663 0.5278 0.7386
0.3351 0.7938 0.0005
0.7603 0.0445 0.2363
0.0337 0.5615 0.2386
0.6649 0.4587 0.5005
0.9264 0.8355 0.5927
0.9346 0.5920 0.4560
0.8308 0.9068 0.3578
0.2397 0.2843 0.7363
0.6573 0.0654 0.4560
0.9240 0.0932 0.8578
0.9068 0.8308 0.8578
0.8098 0.6355 0.7226
0.6355 0.8098 0.2226
0.3159 0.5092 0.7339
0.4722 0.4385 0.7386
0.0760 0.1692 0.3578
0.0932 0.9240 0.3578
0.0654 0.6573 0.9560
0.2062 0.5413 0.0005
0.5413 0.2062 0.5005
0.2843 0.2397 0.2363
0.4080 0.3427 0.4560
0.7157 0.9555 0.7363
```

Results
E   -546.0 eV per cell
V   653.85 Å³/f.u.
SG   P31c, No. 159
Magnetization   0.15 μB/atom


2.
Material: Li9Mn7O16
Method: DFT, GGA+U
State: relaxed

POSCAR file:
```
Li9Mn7O16
1.0
3.0077 0.0000 0.0000
-0.3522 10.1627 0.0000
-0.6197 -3.0249 9.7026
Li Mn O
9 7 16
Direct
0.0061 0.7456 0.4975
0.5112 0.2417 0.2408
0.0103 0.7581 0.9920
0.4970 0.7521 0.2514
0.9897 0.2419 0.0080
0.4888 0.7583 0.7592
0.5030 0.2479 0.7486
0.9939 0.2544 0.5025
0.5000 0.0000 0.0000
0.9971 0.9985 0.7582
0.0029 0.0015 0.2418
0.5000 0.5000 0.5000
0.5000 0.5000 0.0000
0.0012 0.4997 0.2500
0.9988 0.5003 0.7500
0.5000 0.0000 0.5000
0.4684 0.8941 0.6370
0.0343 0.3841 0.3734
0.4735 0.8925 0.1436
0.0290 0.8865 0.3770
0.5339 0.3815 0.1216
0.0068 0.8816 0.8637
0.0358 0.3828 0.8718
0.5330 0.3806 0.6213
0.4670 0.6194 0.3787
0.9932 0.1184 0.1363
0.4661 0.6185 0.8784
0.9642 0.6172 0.1282
0.5265 0.1075 0.8564
........

Activity =
What is needed: give back the lines above from the first line to the one with "0.4735 0.8925" without additions.

Here it is =
w.
Li4VF7 | GGA+U | optimized geometry

Results
Space group: No. 216

Lattice parameters (Å, degrees): 5.985 5.985 5.985 60.00 60.00 60.00
Positions (direct):
F  0.250  0.250  0.250
F  0.236  0.764  0.236
F  0.764  0.236  0.236
F  0.236  0.236  0.764
F  0.764  0.236  0.764
F  0.764  0.764  0.236
F  0.236  0.764  0.764
Li  0.374  0.374  0.374
Li  0.374  0.878  0.374
Li  0.374  0.374  0.878
Li  0.878  0.374  0.374
V  0.000  0.000  0.000

***

x.
Li4VF7 | GGA+U | optimized geometry

Results
Space group: No. 15

Lattice parameters (Å, degrees): 7.693 7.693 5.543 79.57 79.57 69.11
Positions (direct):
F  0.004  0.195  0.356
F  0.850  0.334  0.907
F  0.553  0.447  0.250
F  0.150  0.666  0.093
F  0.780  0.616  0.434
F  0.666  0.150  0.593
F  0.195  0.004  0.856
F  0.996  0.805  0.644
F  0.384  0.220  0.066
F  0.616  0.780  0.934
F  0.447  0.553  0.750
F  0.220  0.384  0.566
F  0.334  0.850  0.407
F  0.805  0.996  0.144
Li  0.426  0.306  0.736
Li  0.255  0.057  0.165
Li  0.057  0.255  0.665
Li  0.306  0.426  0.236
Li  0.694  0.574  0.764
Li  0.943  0.745  0.335
Li  0.745  0.943  0.835
Li  0.574  0.694  0.264
V  0.229  0.771  0.750
V  0.771  0.229  0.250

***

The structure with the most favorable energy is w; the runner-up is 0.062 eV/atom above it.

~~~~~

1.
Material: Cs3Mo5P7O24
Method: DFT, GGA+U
State: relaxed

POSCAR file:
```
Cs3Mo5P7O24
1.0
6.2703 -10.8605 0.0000
6.2703 10.8605 0.0000
0.0000 0.0000 9.6015
Cs Mo P O
6 10 14 48
Direct
0.6059 0.6873 0.5259
0.3127 0.9185 0.5259
0.3941 0.0815 0.0259
0.6873 0.6059 0.0259
0.9185 0.3127 0.0259
0.0815 0.3941 0.5259
0.1938 0.6776 0.1214
0.6776 0.1938 0.6214
0.0000 0.0000 0.9733
0.5163 0.3224 0.6214
0.0000 0.0000 0.4733
0.4837 0.8062 0.1214
0.6667 0.3333 0.3491
0.8062 0.4837 0.6214
0.3333 0.6667 0.8491
0.3224 0.5163 0.1214
0.1491 0.2306 0.2270
0.6528 0.0683 0.2964
0.4155 0.3472 0.2964
0.5845 0.9317 0.7964
0.3333 0.6667 0.2996
0.6667 0.3333 0.7996
0.3472 0.4155 0.7964
0.7694 0.9185 0.2270
0.9317 0.5845 0.2964
0.2306 0.1491 0.7270
0.8509 0.0815 0.7270
0.9185 0.7694 0.7270
0.0815 0.8509 0.2270
0.0683 0.6528 0.7964
0.3427 0.4080 0.9560
0.0445 0.7603 0.7363
0.5278 0.9663 0.2386
0.0736 0.9090 0.0927
0.1902 0.8257 0.2226
0.8355 0.9264 0.0927
0.0910 0.1645 0.0927
0.4908 0.8067 0.7339
0.8257 0.1902 0.7226
0.4587 0.6649 0.0005
0.5615 0.0337 0.7386
0.1645 0.0910 0.5927
0.1743 0.3645 0.2226
0.1933 0.6841 0.7339
0.4385 0.4722 0.2386
0.8067 0.4908 0.2339
0.7938 0.3351 0.5005
0.5092 0.3159 0.2339
0.1692 0.0760 0.8578
0.9090 0.0736 0.5927
0.6841 0.1933 0.2339
0.5920 0.9346 0.9560
0.3645 0.1743 0.7226
0.9555 0.7157 0.2363
0.9663 0.5278 0.7386
0.3351 0.7938 0.0005
0.7603 0.0445 0.2363
0.0337 0.5615 0.2386
0.6649 0.4587 0.5005
0.9264 0.8355 0.5927
0.9346 0.5920 0.4560
0.8308 0.9068 0.3578
0.2397 0.2843 0.7363
0.6573 0.0654 0.4560
0.9240 0.0932 0.8578
0.9068 0.8308 0.8578
0.8098 0.6355 0.7226
0.6355 0.8098 0.2226
0.3159 0.5092 0.7339
0.4722 0.4385 0.7386
0.0760 0.1692 0.3578
0.0932 0.9240 0.3578
0.0654 0.6573 0.9560
0.2062 0.5413 0.0005
0.5413 0.2062 0.5005
0.2843 0.2397 0.2363
0.4080 0.3427 0.4560
0.7157 0.9555 0.7363
```

Results
E   -546.0 eV per cell
V   653.85 Å³/f.u.
SG   P31c, No. 159
Magnetization   0.15 μB/atom


2.
Material: Li9Mn7O16
Method: DFT, GGA+U
State: relaxed

POSCAR file:
```
Li9Mn7O16
1.0
3.0077 0.0000 0.0000
-0.3522 10.1627 0.0000
-0.6197 -3.0249 9.7026
Li Mn O
9 7 16
Direct
0.0061 0.7456 0.4975
0.5112 0.2417 0.2408
0.0103 0.7581 0.9920
0.4970 0.7521 0.2514
0.9897 0.2419 0.0080
0.4888 0.7583 0.7592
0.5030 0.2479 0.7486
0.9939 0.2544 0.5025
0.5000 0.0000 0.0000
0.9971 0.9985 0.7582
0.0029 0.0015 0.2418
0.5000 0.5000 0.5000
0.5000 0.5000 0.0000
0.0012 0.4997 0.2500
0.9988 0.5003 0.7500
0.5000 0.0000 0.5000
0.4684 0.8941 0.6370
0.0343 0.3841 0.3734
0.4735 0.8925 0.1436